Hi all,
I'm receiving the following errors in the RemoteUpdateManager log. I can't get this to clear up. Did a full re-sync of our Adobe Update Server twice, to be sure it wasn't a corrupted file or download at our end.
01/10/13 10:30:27:181 | [INFO] | | AAMEE | Utilities | RemoteUpdateManager | | | ##################################################
01/10/13 10:30:27:181 | [INFO] | | AAMEE | Utilities | RemoteUpdateManager | | | Launching the RemoteUpdateManager...
01/10/13 10:30:27:181 | [INFO] | | AAMEE | Utilities | RemoteUpdateManager | | | RemoteUpdateManager version is : (BuildVersion: 3.1; BuildDate: Tue Sep 04 2012 13:58:18 )
-- begin --
! PBE with a Hubbard U Li7Mn4P8O28, relaxed; values from VASP
! E_form, eV per atom: -2.634
! M_tot, μB per formula unit: 19.00
! Energy relative to the lowest polymorph listed for this composition, meV per atom: 0
! VASP energy, eV/atom: -7.016
&SYSTEM
  ibrav = 0, nat = 94, ntyp = 4
/
ATOMIC_SPECIES
Li 6.94 Li.upf
Mn 54.94 Mn.upf
P 30.97 P.upf
O 16.00 O.upf
CELL_PARAMETERS angstrom
9.868 0.000 0.000
-0.025 9.893 0.000
-0.037 -2.469 11.098
ATOMIC_POSITIONS angstrom
Li 0.552 2.360 5.265
Li 0.841 1.064 10.615
Li 0.997 6.648 10.781
Li 2.743 0.017 4.980
Li 3.830 1.690 10.770
Li 3.991 6.952 4.934
Li 3.977 5.987 10.640
Li 5.828 1.436 0.458
Li 5.815 0.472 6.164
Li 5.976 5.733 0.327
Li 7.063 7.406 6.117
Li 8.809 0.775 0.316
Li 8.965 6.359 0.483
Li 9.254 5.064 5.833
Mn 0.728 0.332 7.461
Mn 2.084 6.944 1.988
Mn 2.795 2.022 1.987
Mn 4.105 5.258 7.440
Mn 5.701 2.165 3.658
Mn 7.011 5.402 9.111
Mn 7.722 0.479 9.110
Mn 9.077 7.092 3.636
P 0.425 4.121 2.688
P 0.666 0.003 2.701
P 1.457 7.242 6.415
P 1.977 3.923 9.902
P 2.889 -1.036 9.898
P 3.427 2.322 6.413
P 4.275 4.949 2.692
P 4.470 9.074 2.698
P 5.336 -1.651 8.400
P 5.531 2.474 8.406
P 6.379 5.101 4.685
P 6.917 8.459 1.200
P 7.829 3.500 1.195
P 8.349 0.181 4.683
P 9.140 7.420 8.397
P 9.381 3.302 8.410
O 0.280 5.648 2.362
O 0.564 6.574 5.385
O 0.644 0.362 1.229
O 0.732 3.827 4.125
O 0.746 7.012 7.858
O 0.823 8.390 2.995
O 0.968 3.984 8.646
O 1.298 4.700 11.078
O 1.350 3.496 1.620
O 1.655 -1.137 6.228
O 1.653 -0.280 9.413
O 1.719 0.845 3.454
O 2.022 1.716 6.444
O 2.168 2.469 10.270
O 2.677 7.403 10.240
O 2.865 6.613 6.565
O 3.219 4.661 9.396
O 3.247 5.830 3.408
O 3.401 3.849 6.270
O 3.558 8.523 1.593
O 3.598 -0.280 11.072
O 3.893 -0.974 8.609
O 4.052 8.725 4.109
O 4.070 2.015 7.867
O 4.145 3.424 3.032
O 4.285 1.564 5.388
O 4.299 5.234 1.209
O 4.661 0.746 2.493
O 5.145 6.677 8.605
O 5.507 2.189 9.889
O 5.521 5.859 5.710
O 5.661 3.999 8.066
O 5.736 5.408 3.230
O 5.754 -1.302 6.988
O 5.913 8.397 2.489
O 6.208 7.703 0.026
O 6.247 -1.100 9.505
O 6.405 3.574 4.828
O 6.559 1.594 7.690
O 6.587 2.763 1.702
O 6.941 0.810 4.533
O 7.129 0.020 0.858
O 7.638 4.954 0.828
O 7.784 5.707 4.654
O 8.087 6.579 7.644
O 8.152 7.703 1.685
O 8.151 8.561 4.870
O 8.456 3.928 9.477
O 8.508 2.724 0.020
O 8.838 3.439 2.452
O 8.982 -0.967 8.103
O 9.060 0.411 3.240
O 9.074 3.596 6.973
O 9.162 7.061 9.869
O 9.242 0.849 5.713
O 9.526 1.776 8.735

=====

(1)
Li5Mn2Cu3O10 | PBE with a Hubbard U | relaxed

```
Li5Mn2Cu3O10
1.0
-0.6728 -1.3617 -4.8200
-9.2700 -4.9027 2.0691
-5.5074 5.0744 1.1379
Li Mn Cu O
10 4 6 20
direct
0.2501 0.2499 0.2501 Li
0.7501 0.7499 0.7501 Li
0.7620 0.4483 0.9456 Li
0.2620 0.9483 0.4457 Li
0.7381 0.0516 0.5549 Li
0.2382 0.5516 0.0549 Li
0.2593 0.1425 0.6465 Li
0.7593 0.6425 0.1465 Li
0.2412 0.3572 0.8537 Li
0.7412 0.8572 0.3537 Li
0.2648 0.8384 0.8548 Mn
0.2356 0.6608 0.6447 Mn
0.7647 0.3384 0.3547 Mn
0.7355 0.1608 0.1448 Mn
0.2506 0.7499 0.2502 Cu
0.7553 0.9438 0.9553 Cu
0.7462 0.5555 0.5451 Cu
0.7505 0.2499 0.7501 Cu
-- stop --
**Back to the page**
01/10/13 10:30:27:182 | [INFO] | | AAMEE | Utilities | RemoteUpdateManager | | | **************************************************
01/10/13 10:30:27:182 | [INFO] | | AAMEE | Utilities | RemoteUpdateManager | | | Initializing UpdaterCore Library...
01/10/13 10:30:27:348 | [INFO] | | AAMEE | Utilities | RemoteUpdateManager | | | UpdaterCore library initialized successfully.
01/10/13 10:30:27:348 | [INFO] | | AAMEE | Utilities | RemoteUpdateManager | | | **************************************************
01/10/13 10:30:27:348 | [INFO] | | AAMEE | Utilities | RemoteUpdateManager | | | Starting UpdaterCore CheckForUpdate...
01/10/13 10:30:27:911 | [INFO] | | AAMEE | Utilities | RemoteUpdateManager | | | CheckForUpdates completed successfully.
01/10/13 10:30:27:911 | [INFO] | | AAMEE | Utilities | RemoteUpdateManager | | | **************************************************
01/10/13 10:30:27:911 | [INFO] | | AAMEE | Utilities | RemoteUpdateManager | | | Starting UpdaterCore DownloadUpdates...
01/10/13 10:30:27:916 | [WARN] | | AAMEE | Utilities | RemoteUpdateManager | | | Update (AdobeDigitalPublishingCS6-2.0/ is not supported by RemoteUpdateManager. Skipping processing of this update.
01/10/13 10:30:27:916 | [WARN] | | AAMEE | Utilities | RemoteUpdateManager | | | No new applicable Updates. Seems like all products are up-to-date.
01/10/13 10:30:27:917 | [INFO] | | AAMEE | Utilities | RemoteUpdateManager | | | **************************************************
01/10/13 10:30:27:918 | [INFO] | | AAMEE | Utilities | RemoteUpdateManager | | | ##################################################
01/10/13 10:30:27:918 | [INFO] | | AAMEE | Utilities | RemoteUpdateManager | | | Ending the RemoteUpdateManager Return Code (0)
01/10/13 10:30:27:918 | [INFO] | | AAMEE | Utilities | RemoteUpdateManager | | | ##################################################
01/10/13 10:30:27:918 | [INFO] | | AAMEE | Utilities | RemoteUpdateManager | | | ##################################################
The AdobeDigitalPublishing update is the only one having issues. Anyone else seeing this? I've seen the AdobeDigitalPublishing updates get installed properly in the past using RUM.